Cultivating a Gospel-Inspired Life in the Home through Family Bible Study and Worship
By Anne Butler
As Christian parents, we long to experience with our loved ones the revealing of God’s truths through His Spirit and Word, yet often, we are immobilized by inexperience or lack of training in family Bible study. My husband and I faced this challenge as we endeavored to cultivate a lifestyle of discipleship in our home.
Though we have been raising and home-educating our children for the past 30-plus years, we started this parenting journey with zero experience in family discipleship. Neither of us personally read the Bible until well into our college years when God called us to Himself. As young parents, we sought help sharing God’s truth and beauty with our children. As our family eventually came to include preteens and teenagers—able to think, discuss, and apply the Scriptures more deeply—and as we grew into a full house of nine children, this role became even more daunting.
We noticed a trend with parents of teenagers. Many began backing away from faith-forming involvement with their maturing youth. Parents felt inexperienced because family Bible study was not modeled in their own childhood homes. They often relinquished the task of spiritual development of their youth to church youth leaders. We found those leaders to be supportive, but we also wanted to take our parental role as the primary spiritual educators of our children seriously. We saw clearly in Scripture from places like Proverbs 1, Deuteronomy 6, and Psalm 78 that this was a call from God on our lives as parents. Besides, we thoroughly enjoyed conversations about spiritual truths with our children.
If your situation is one of insecurity or inexperience, the following paragraphs describe an uncomplicated model of discussing God’s Word with simple steps we have incorporated into our family’s rhythms. Much of what I share on the topic of education and faith formation I gleaned from British educational philosopher Charlotte Mason, so you may recognize her influence throughout these steps.
1. Pray: If it is the Holy Spirit’s role to reveal truth, awaken faith, bring repentance, and capture hearts with God’s goodness, we want to eagerly and prayerfully invite His presence.
2. Review or Overview: When continuing any study, spend a moment at the beginning of your time remembering the previous context and learning you’ve gained so far in your study. When beginning a new book of the Bible, read an overview paragraph together to get your bearings and the book’s general message.
3. Read: Take turns reading a passage or chapter aloud, splitting the text among reading participants. I recommend parents have a trusted Study Bible, with everyone reading from the same translation. Study Bibles are invaluable for providing book overviews, answering difficult text questions, exploring interesting related information, and supplying relevant maps. Our family keeps a small basket filled with Bibles near where we gather for easy reach. For children under age 10, we also make available blank paper, colored pencils, and coloring pages of biblical scenes. This keeps young hands occupied but doesn’t preclude participation.
4. Narrate: Next, take time for one or two participants to share in their own words some ideas from the reading they understood, noticed, or recalled. This takes a few minutes of concentration, yet it is valuable for clarifying and solidifying the ideas and details of the passage. Narrating reveals to you as a parent what sparked their attention. Younger families may rely more heavily on this step than the next, working to fully understand the main messages, ideas, themes, and events of each passage.
5. Questions and Discussion: It is important not to fear but to welcome and prioritize questions that arise organically. Questioning minds are engaged minds. Parents should also have several thoughtful, open-ended questions ready for this portion. At the same time, I highly caution against using prepared questions as a tool to quiz and evaluate what your children may have missed from the reading. We want our children’s hearts to be open, eager, and curious with wonder toward God, not anxious to answer your questions correctly.
Your goal is to find the sweet spot where discussions are long enough to be meaningful yet not so long to lose your children’s attention. Guard yourself against talking too much, lecturing, or moralizing; instead, let the Holy Spirit apply the Word to your children’s hearts. He is sufficient, and our clumsy moralizing and lecturing (especially during a family Bible study) often hinder the heart change we desire. Respect your youth and their spiritual aptitudes, remembering we are instructed to become like children.
6. Pray: As you wind down the discussion, move to sharing time together in prayer. Typically, parents do the bulk of the praying in our homes, so this is a great time to invite our children into the practice of prayer.
7. Sing: Finally, along with our Bibles, we keep a collection of familiar choruses, song sheets, and hymnals nearby. Singing is a beautiful way to conclude on a worshipful, Godward note.
# Molecular data that have nothing to do with the page
=====
The following is a quantum chemistry calculation of the molecule C5H12S2 at a distorted geometry, from the Open Molecules 2025 dataset.

Calculated values
- LUMO energy: 0.80 eV
- Relative energy (zero: lowest compared OMol25 entry of this formula, charge and spin): 101.6 kJ/mol
- Frontier orbital gap: 9.5 eV
- Spin multiplicity: 1
- SMILES: CCCSSCC
- M: 136.3 g mol⁻¹

Geometry (Å):
C1 2.09910 -0.13651 -1.24327
C2 1.83600 -0.54983 0.15263
C3 1.78069 0.51594 1.26105
S1 0.43057 1.76814 1.13498
S2 -0.83957 0.99256 -0.33470
C4 -2.13334 0.16305 0.68244
C5 -3.08365 -0.11597 -0.54888
H1 2.45373 0.86819 -1.50321
H2 2.90139 -0.71620 -1.75456
H3 1.32362 -0.28781 -2.02256
H4 0.96781 -1.21042 0.22964
H5 2.65278 -1.28635 0.45858
H6 2.72886 1.03694 1.30002
H7 1.44851 -0.08335 2.09810
H8 -2.63654 0.68408 1.50498
H9 -1.92211 -0.86651 0.99776
H10 -4.10728 -0.32110 -0.13480
H11 -3.12580 0.63636 -1.34520
H12 -2.77477 -1.09123 -0.93300

~~~~~

[1]
This record from the Open Molecules 2025 dataset describes a structure of composition C31H29F5GeN3O3PdS2Se. The level of theory is wB97M-V/def2-TZVPD.

```
76
Properties=species:S:1:pos:R:3:lowdin_spin:R:1
Pd -0.19 0.59 0.60 0.59
O 1.84 0.29 0.82 0.01
N 2.09 -0.52 1.86 0.00
C 3.10 -1.39 1.74 0.00
C 3.44 -2.22 2.79 0.00
C 2.70 -2.11 3.97 0.00
C 1.69 -1.19 4.07 0.01
C 1.38 -0.35 2.98 0.02
S 0.15 0.86 3.03 0.16
H 3.60 -1.38 0.78 0.00
H 4.24 -2.93 2.68 0.00
H 2.92 -2.77 4.80 0.00
H 1.11 -1.08 4.97 0.00
F -6.52 -2.18 1.98 0.00
C -5.52 -1.42 1.53 0.00
C -5.35 -0.14 2.01 0.00
F -6.18 0.33 2.95 0.00
C -4.32 0.65 1.52 0.00
F -4.20 1.87 2.03 0.00
C -3.45 0.19 0.54 0.00
S -2.26 1.26 -0.16 -0.04
C -3.64 -1.11 0.08 0.00
F -2.86 -1.62 -0.87 0.00
C -4.66 -1.91 0.56 0.00
F -4.82 -3.16 0.10 0.00
C -1.23 4.15 2.21 0.00
Ge 0.28 4.52 1.06 0.00
C 0.42 6.45 0.79 0.00
C 1.99 3.89 1.73 0.00
C -0.04 3.86 -0.78 0.01
Se 0.56 2.08 -1.31 0.09
C 2.46 2.38 -1.14 0.01
H -0.92 4.19 3.25 0.00
H -1.67 3.17 2.01 0.00
H -2.00 4.91 2.05 0.00
H 0.66 6.95 1.73 0.00
H -0.51 6.87 0.41 0.00
H 1.22 6.68 0.07 0.00
H 2.07 4.13 2.79 0.00
H 2.80 4.40 1.19 0.00
H 2.10 2.81 1.62 0.00
H 0.46 4.54 -1.48 0.00
H -1.10 3.88 -1.01 0.00
H 2.82 1.97 -0.20 0.00
H 2.63 3.45 -1.19 0.00
H 2.93 1.88 -1.98 0.00
O -1.09 -1.47 1.43 0.07
C -0.59 -2.09 0.47 0.01
N -0.56 -3.43 0.29 0.00
C 0.07 -3.76 -0.98 0.00
C 0.45 -2.32 -1.46 0.00
O 1.05 -2.11 -2.49 0.00
N 0.02 -1.43 -0.53 0.05
C 1.31 -4.63 -0.75 0.00
C 2.57 -4.05 -0.61 0.00
C 3.68 -4.84 -0.33 0.00
C 3.54 -6.21 -0.19 0.00
C 2.29 -6.79 -0.32 0.00
C 1.18 -6.00 -0.60 0.00
C -0.89 -4.39 -1.98 0.00
C -2.24 -4.53 -1.72 0.00
C -3.09 -5.12 -2.66 0.00
C -2.58 -5.58 -3.86 0.00
C -1.22 -5.42 -4.14 0.00
C -0.39 -4.83 -3.20 0.00
H -0.99 -4.09 0.92 0.00
H 2.69 -2.98 -0.75 0.00
H 4.66 -4.38 -0.24 0.00
H 4.41 -6.83 0.02 0.00
H 2.17 -7.86 -0.22 0.00
H 0.21 -6.47 -0.72 0.00
H -2.66 -4.16 -0.79 0.00
H -4.14 -5.23 -2.43 0.00
H -3.23 -6.05 -4.59 0.00
H -0.82 -5.77 -5.08 0.00
H 0.67 -4.71 -3.42 0.00
```

HOMO level (alpha / beta) in eV: -8.34 / -8.22
=====
Parents must seek to faithfully fulfill this call to share the gospel with their children, and we must openly recognize that though we can pray, gather, and share the Bible with our children, only God can ultimately capture their hearts. God has His role, and we have ours. The steps I shared are just one way to obey this calling. We have had both successes and heartbreaks in parenting, and I cannot share a foolproof list of steps to guarantee your children’s salvation. Yet, parents do have an important role to play in faith formation, remembering and trusting that God is eager to support this transfer of faith to the next generation in His timing and (in part) through our faith-filled prayers and efforts. After all, He is the one calling us to this role (Deut. 6:4-9).
We cannot be the Holy Spirit, but our primary role is to prayerfully depend on and cooperate with the Holy Spirit, sharing from our own genuine faith and love. We must attend to the atmosphere of our home, ensuring it is a safe and enjoyable space for learning and discussion and not harsh, critical, distracted, or filled with unpleasantness. We must build strong, healthy relationships with our children outside of our Bible studies so our voices and input are well received. At the same time, we work to form the habit of prayerfully reading and discussing the Scriptures together, and we seek to wisely choose the most appropriate, truth-filled, engaging, life-giving resources available to assist us.
Jesus said, “If you abide in my word, you are truly my disciples, and you will know the truth, and the truth will set you free” (John 8:31-32). Abiding in God’s Word is true discipleship. Won’t you join me in cultivating a gospel-inspired discipleship life in your home by intentionally creating time and space for your family to abide in God’s Word together?
<<<
This record from the Open Molecules 2025 dataset describes a molecular structure, C25H39F3IrN3SbSi3. The level of theory is wB97M-V/def2-TZVPD.

Its net charge is +4. The expectation value of S² is 8.761. The spin multiplicity is 6. As for the strongest force on any atom: 0.5 eV Å⁻¹. The calculation puts the HOMO-LUMO gap (alpha / beta) at 7.341 / 5.802 eV. The total energy comes out at -72151.2792 eV.

Cartesian coordinates (Å):
Ir 0.622 -1.266 0.510
Sb -0.736 0.891 -0.359
Si -1.763 1.479 -4.450
Si 0.799 4.471 0.488
Si -3.396 1.092 0.827
F 7.352 -0.754 -1.239
F 7.126 -2.908 -1.311
F 7.600 -1.930 0.565
N 0.168 -1.797 2.579
N -0.361 -3.189 0.329
N 2.719 -1.352 0.128
C -0.444 5.582 -0.247
C -2.177 3.252 -4.416
C 4.942 -1.498 0.987
C -0.085 0.960 -4.935
C -0.571 -3.544 4.011
C 3.200 -1.522 -1.118
C -1.338 -5.769 0.319
C -2.803 0.758 2.540
C 0.751 4.143 2.281
C -1.123 -5.101 1.516
C -0.256 -2.777 5.123
C -3.983 2.785 0.423
C -0.344 -3.035 2.742
C -3.106 0.250 -4.404
C -0.571 -3.835 -0.826
C 2.303 4.046 -0.452
C 3.579 -1.348 1.161
C 6.918 -1.825 -0.568
C -0.628 -3.807 1.499
C 0.467 -1.056 3.655
C 5.428 -1.665 -0.298
C -1.057 -5.125 -0.876
C 4.543 -1.681 -1.370
C -4.114 -0.335 -0.091
C 0.274 -1.508 4.945
H -4.310 -0.104 -1.138
H -4.016 0.622 -3.935
H -3.351 0.049 -5.459
H -3.497 -1.232 -0.015
H 2.474 -1.539 -1.921
H -3.990 2.982 -0.649
H 0.700 1.604 -4.538
H 0.538 -0.882 5.786
H -1.424 5.511 0.224
H -1.715 -6.783 0.324
H -0.053 1.076 -6.030
H 3.022 4.851 -0.236
H -0.075 6.601 -0.046
H -2.212 1.579 2.947
H 3.154 -1.234 2.149
H -2.978 3.498 -3.719
H -0.421 -3.171 6.117
H -0.329 -3.291 -1.730
H -3.690 0.654 3.179
H 2.769 3.117 -0.122
H -2.244 -0.176 2.608
H -1.204 -5.614 -1.829
H 1.279 4.990 2.749
H -0.527 5.489 -1.329
>>>
Anne Butler is a speaker and author of Feast Of Inquiry: Discussion Questions to Serve Our Souls From Every New Testament Chapter. She has over three decades of experience in parenting and home education. You can find more of Anne’s writing at tablelearningresources.com, where she shares articles emphasizing family discipleship, spiritual growth, and home education.